August 12, 2013

**Next to the entry, the page also holds materials data:**
-- begin --
{"formula": "Mo2Pb2O7", "functional": "PBE+U", "state": "relaxed", "magnetic_moment_mub_per_atom": 0.180, "rho_g_cm3": 7.68, "relative_energy_ev_per_atom": 0.0000, "spacegroup": "Fd-3m", "lattice_angstrom": [[-0.4049, 0.0580, 7.5909], [6.0326, 2.1186, 4.1121], [-0.0891, 6.6114, 3.7512]], "species": ["Mo", "Mo", "Mo", "Mo", "O", "O", "O", "O", "O", "O", "O", "O", "O", "O", "O", "O", "O", "O", "Pb", "Pb", "Pb", "Pb"], "fractional_positions": [[0.1250, 0.6250, 0.1250], [0.1250, 0.1250, 0.1250], [0.6250, 0.1250, 0.1250], [0.1250, 0.1250, 0.6250], [0.1889, 0.8111, 0.8111], [0.8111, 0.1889, 0.8111], [0.0611, 0.4389, 0.4389], [0.4389, 0.0611, 0.4389], [0.4389, 0.4389, 0.0611], [0.7500, 0.7500, 0.7500], [0.1889, 0.1889, 0.8111], [0.1889, 0.8111, 0.1889], [0.5000, 0.5000, 0.5000], [0.0611, 0.0611, 0.4389], [0.8111, 0.1889, 0.1889], [0.8111, 0.8111, 0.1889], [0.0611, 0.4389, 0.0611], [0.4389, 0.0611, 0.0611], [0.6250, 0.1250, 0.6250], [0.6250, 0.6250, 0.1250], [0.6250, 0.6250, 0.6250], [0.1250, 0.6250, 0.6250]]}


A plane-wave DFT calculation with PBE was carried out for a relaxed structure of NiIr2I.

Values from the calculation:
Distance to the lowest polymorph of the same formula (meV per atom): 159
Total magnetization (μB per cell): 0.691
Electronic total energy (eV/cell): -21.22
Space-group type: Fm-3m

abc: 4.479 4.479 4.479
angles: 60.00 60.00 60.00
Each line ends with the local moment (μB).
Element x y z (fractional)
1 I 0.500 0.500 0.500  0.02
2 Ni 0.000 0.000 0.000  0.03
3 Ir 0.250 0.250 0.250  0.32
4 Ir 0.750 0.750 0.750  0.32

***

A plane-wave DFT calculation with PBE was carried out for a relaxed structure of Zn5AgPd4.

Values from the calculation:
Total magnetization (μB per cell): 0.000
Electronic total energy (eV/cell): -34.45
Space-group type: P4/mmm

abc: 3.065 3.065 15.750
angles: 90.00 90.00 90.00
Element x y z (fractional)
1 Zn 0.500 0.500 0.111
2 Zn 0.500 0.500 0.306
3 Zn 0.500 0.500 0.500
4 Zn 0.500 0.500 0.694
5 Zn 0.500 0.500 0.889
6 Ag 0.000 0.000 0.000
7 Pd 0.000 0.000 0.208
8 Pd 0.000 0.000 0.403
9 Pd 0.000 0.000 0.597
10 Pd 0.000 0.000 0.792

***

A plane-wave DFT calculation with PBE was carried out for a relaxed structure of Cr2OsCl.

Values from the calculation:
Distance to the lowest polymorph of the same formula (meV per atom): 170
Total magnetization (μB per cell): 0.001
Electronic total energy (eV/cell): -30.97
Space-group type: R-3m

abc: 8.130 8.130 8.130
angles: 19.54 19.54 19.54
Element x y z (fractional)
1 Cr 0.003 0.003 0.003
2 Cr 0.497 0.497 0.497
3 Os 0.250 0.250 0.250
4 Cl 0.750 0.750 0.750

***

A plane-wave DFT calculation with PBE was carried out for a relaxed structure of LiTiMnNi2.

Values from the calculation:
Total magnetization (μB per cell): 0.000
Electronic total energy (eV/cell): -26.26
Space-group type: P4/mmm

abc: 4.214 4.214 4.107
angles: 90.00 90.00 90.00
Element x y z (fractional)
1 Ni 0.000 0.500 0.000
2 Ni 0.500 0.000 0.000
3 Mn 0.000 0.000 0.000
4 Li 0.000 0.000 0.500
5 Ti 0.500 0.500 0.500
-- stop --

Why Give Birth at Home?

Unrelated to this article: materials data:
=====
# GaReTe2N

An optimized crystal structure of GaReTe2N (PBE, Alexandria via LeMat-Bulk).

```
data_GaReTe2N
_cell_length_a 5.5122
_cell_length_b 5.5122
_cell_length_c 3.4827
_cell_angle_alpha 90.00
_cell_angle_beta 90.00
_cell_angle_gamma 90.00
_space_group_name_H-M_alt 'P 4/m m m'
_space_group_IT_number 123
_space_group_name_Hall '-P 4 2'
loop_
_atom_site_label
_atom_site_type_symbol
_atom_site_fract_x
_atom_site_fract_y
_atom_site_fract_z
_atom_site_occupancy
Ga1 Ga 0.0000 0.0000 0.0000 1
Re1 Re 0.5000 0.5000 0.5000 1
Te1 Te 0.0000 0.5000 0.0000 1
N1 N 0.0000 0.0000 0.5000 1
```

Offset from the most stable computed form ... 1087 meV per atom

# ZnGa2ReN

An optimized crystal structure of ZnGa2ReN (PBE, Alexandria via LeMat-Bulk).

```
data_ZnGa2ReN
_cell_length_a 4.8691
_cell_length_b 4.8691
_cell_length_c 4.9446
_cell_angle_alpha 90.00
_cell_angle_beta 90.00
_cell_angle_gamma 90.00
_space_group_name_H-M_alt 'P 4/m m m'
_space_group_IT_number 123
_space_group_name_Hall '-P 4 2'
loop_
_atom_site_label
_atom_site_type_symbol
_atom_site_fract_x
_atom_site_fract_y
_atom_site_fract_z
_atom_site_occupancy
Zn1 Zn 0.0000 0.0000 0.0000 1
Ga1 Ga 0.0000 0.5000 0.5000 1
Re1 Re 0.0000 0.0000 0.5000 1
N1 N 0.5000 0.5000 0.0000 1
```

# GaRhN3

An optimized crystal structure of GaRhN3 (PBE, Alexandria via LeMat-Bulk).

```
data_GaRhN3
_cell_length_a 3.8904
_cell_length_b 3.8904
_cell_length_c 3.8904
_cell_angle_alpha 90.00
_cell_angle_beta 90.00
_cell_angle_gamma 90.00
_space_group_name_H-M_alt 'P m -3 m'
_space_group_IT_number 221
_space_group_name_Hall '-P 4 2 3'
loop_
_atom_site_label
_atom_site_type_symbol
_atom_site_fract_x
_atom_site_fract_y
_atom_site_fract_z
_atom_site_occupancy
Ga1 Ga 0.0000 0.0000 0.0000 1
Rh1 Rh 0.5000 0.5000 0.5000 1
N1 N 0.0000 0.5000 0.5000 1
```

# GaRhN3

An optimized crystal structure of GaRhN3 (PBE, Alexandria via LeMat-Bulk).

```
data_GaRhN3
_cell_length_a 3.7946
_cell_length_b 3.7946
_cell_length_c 3.7946
_cell_angle_alpha 90.00
_cell_angle_beta 90.00
_cell_angle_gamma 90.00
_space_group_name_H-M_alt 'P m -3 m'
_space_group_IT_number 221
_space_group_name_Hall '-P 4 2 3'
loop_
_atom_site_label
_atom_site_type_symbol
_atom_site_fract_x
_atom_site_fract_y
_atom_site_fract_z
_atom_site_occupancy
Ga1 Ga 0.0000 0.0000 0.0000 1
Rh1 Rh 0.5000 0.5000 0.5000 1
N1 N 0.0000 0.0000 0.5000 1
```

# Ga2RhN

An optimized crystal structure of Ga2RhN (PBE, Alexandria via LeMat-Bulk).

```
data_Ga2RhN
_cell_length_a 5.6159
_cell_length_b 5.6159
_cell_length_c 7.5978
_cell_angle_alpha 90.00
_cell_angle_beta 90.00
_cell_angle_gamma 90.00
_space_group_name_H-M_alt 'I -4 2 d'
_space_group_IT_number 122
_space_group_name_Hall 'I -4 2bw'
loop_
_atom_site_label
_atom_site_type_symbol
_atom_site_fract_x
_atom_site_fract_y
_atom_site_fract_z
_atom_site_occupancy
Ga1 Ga 0.1779 0.2500 0.1250 1
Rh1 Rh 0.0000 0.0000 0.5000 1
N1 N 0.0000 0.0000 0.0000 1
```

# GaRhSeN2

An optimized crystal structure of GaRhSeN2 (PBE, Alexandria via LeMat-Bulk).

```
=====

I interrupt this break to let you all know that I was honored to guest post at Team Whitaker last week during her childbirth series.

Kathryn was good enough to round up a few ladies to share our different perspectives in her HDYDI: Choose a Birth Plan series. Dianna discussed an unmedicated, natural birth, Lisa shared her story on a standard hospital birth, and I talked about home birth, along with my progression from a natural homebirth to an unmedicated hospital birth to an induced, medicated hospital birth.
You can read my post by clicking here. And I hope you check out the entire series - there's a lot of good insight from my fellow mamas.


  1. I feel like I am your blog stalker because I always comment, but I really appreciated your story. Because I have had two and now on my third c-section, I am very sensitive to the way people approach the telling of their stories. Not because I don't think each story is valid, good and beautiful, but because sometimes people say crazy hurtful things (c-section babies are 'slower' than regular babies, God intended natural un-medicated births only, etc...)- it's kind of REALLY turned me off from wanting to hear the stories of my more natural sisters, particularly those that birth their children at home. In your birth stories, I saw real beauty and real witness of the different ways that God helps us bring our children into the world. Also, I get all like, 'I had a huge baby at 10 pounds 6 ounces'...then, I think of an 11 pound and change baby and well, wow. The current one cooking was measuring 6 pounds at week 32, so it should get interesting up in here.

~~~
Record 1
PBE Cd2HgTe, relaxed; symmetry = I-42d (122); energy = -1.36 eV/atom; crystal system = tetragonal; DOS at the Fermi energy = 1.9 states/eV per cell
1.0
-0.168 5.362 -5.859
1.898 -5.664 -5.238
-2.683 -0.846 -6.083
Te Hg Cd
2 2 4
direct
0.500 0.500 0.000
0.250 0.750 0.500
0.000 0.000 0.000
0.750 0.250 0.500
0.622 0.125 0.250
0.128 0.625 0.250
0.375 0.378 0.750
0.875 0.872 0.750



Record 2
PBE TiN2F2, relaxed; symmetry = P4/mmm (123); energy = -6.14 eV/atom; crystal system = tetragonal; DOS at the Fermi energy = 2.0 states/eV per cell
1.0
-1.098 -3.733 0.530
3.759 -1.127 -0.149
0.299 0.474 3.956
N F Ti
2 2 1
direct
0.500 0.500 0.500
0.000 0.000 0.500
0.000 0.500 0.000
0.500 0.000 0.000
0.000 0.000 0.000



Record 3
PBE AlInAu, relaxed; symmetry = P3m1 (156); E_form = -0.312 eV per formula unit; energy = -3.36 eV/atom; crystal system = trigonal; DOS at the Fermi energy = 1.2 states/eV per cell
1.0
4.389 0.000 0.000
-2.195 3.801 0.000
0.000 0.000 3.848
Au Al In
1 1 1
direct
0.667 0.333 0.168
0.000 0.000 0.166
0.333 0.667 0.667



Record 4
PBE Tb5Fe2Hg, relaxed; symmetry = I4/mcm (140); E_form = -1.024 eV per formula unit; energy = -5.18 eV/atom; crystal system = tetragonal; DOS at the Fermi energy = 16.6 states/eV per cell
1.0
-6.222 -3.515 2.315
2.448 -6.384 -3.111
5.086 3.245 6.412
Tb Fe Hg
10 4 2
direct
0.537 0.692 0.728
0.808 0.963 0.272
0.000 0.000 0.000
0.500 0.500 0.000
0.192 0.037 0.728
0.692 0.192 0.728
0.037 0.537 0.728
0.308 0.808 0.272
0.963 0.463 0.272
0.463 0.308 0.272
0.107 0.393 0.000
0.607 0.107 0.000
0.393 0.893 0.000
0.893 0.607 0.000
0.750 0.750 0.500
0.250 0.250 0.500



| no. | volume (Å³ per atom) |
| --- | --- |
| 1 | 28.8 |
| 2 | 12.3 |
| 3 | 21.4 |
| 4 | 24.8 |

~~~~~

Ni2SnF: relaxed, PBE with a Hubbard U.

D(E_F), states/eV/atom: 0.31
Total magnetic moment, μB/atom: 0.0000
Excess energy over the best structure of this formula in the dataset, kJ per mole of atoms: 44.8

Cell and atoms, written as CIF:
```
data_Ni2SnF
_chemical_formula_sum 'Ni8 Sn4 F4'
_symmetry_space_group_name_H-M 'F m -3 m'
_symmetry_Int_Tables_number 225
_symmetry_space_group_name_Hall '-F 4 2 3'
_cell_length_a 5.956
_cell_length_b 5.956
_cell_length_c 5.956
_cell_angle_alpha 90.00
_cell_angle_beta 90.00
_cell_angle_gamma 90.00
loop_
_atom_site_label
_atom_site_type_symbol
_atom_site_fract_x
_atom_site_fract_y
_atom_site_fract_z
Ni1 Ni 0.250 0.250 0.250
Sn1 Sn 0.000 0.000 0.000
F1 F 0.000 0.000 0.500
```
~~~

  2. I love birth stories! Thanks for sharing yours. I've had all kinds, too: a scheduled c-section for placenta previa, an unmedicated hospital VBAC, a homebirth (accidentally unassisted! I misjudged how far along I was!), and another hospital birth for financial reasons. I think there can be beauty found in every birth, as long as a woman is made to feel empowered and supported.

    Great post!

  3. I would really like to know which birth you've preferred after having all these styles. I'm asking selfishly as I try to decided which direction to go in for my 6th baby...

    1. If I could have continued having home births I would have. I could not for two reasons:
      physically it wasn't safe any more as my kids got too big.
      mentally and emotionally I couldn't labor in the same bedroom where James was born lifeless. I tried laboring at home and had flashbacks and cried through the contractions.

      But with the large babies medicated hospital birth was preferred. Without emotional scarring and with smaller babies the home births were preferred.

      Sorry if that's not the answer you're looking for! I'm a different woman than I was before and so I need something different.

  4. Bonnie, I loved your approach, your stories and your honesty. It was a great, great honor to have you share your heart on the blog. God bless you as you love on the newest Engstrom!

  5. Just a note to let you know that this exchange really helped me in discerning a homebirth:

    You reassured me that it was okay to feel a little nervous about it and I really appreciated your perspective. I considered what was making me nervous and decided it was the unknown instead of not being at a hospital. Well every birth is an unknown and I had a lot of peace about our decision. On June 4 I delivered my daughter in my own bedroom.

    1. Jenny, I'm so glad to know that you had peace and then a good experience. I'm glad I was able to encourage you, too!

      Congrats on your little one!

    2. Thanks! I hope your new one is sleeping better than mine. :) She seems to think 430am is party time.
